Activity:
What is needed: filter the listing underneath: keep the lines with the word "gamma".
Material:
No. 1
Compound: ScTiRu2
Source: the Materials Project
Functional: PBE
Structure: relaxed

Unit cell a=6.2927 b=6.2927 c=6.2927 alpha=90.00 beta=90.00 gamma=90.00
With the nearest neighbours (Å) after each atom.
Space group Fm-3m (No. 225)
Unique sites:
Sc1 0.0000 0.0000 0.0000  8 Ru 2.72
Ti1 0.0000 0.0000 0.5000  8 Ru 2.72
Ru1 0.2500 0.2500 0.2500  4 Sc 2.72, 4 Ti 2.72

Results
- mass density (g cm⁻³) = 7.9
- energy (eV/atom) = -8.85

No. 2
Compound: TmScRu2
Source: the Materials Project
Functional: PBE
Structure: relaxed

Unit cell a=6.5734 b=6.5734 c=6.5734 alpha=90.00 beta=90.00 gamma=90.00
With the nearest neighbours (Å) after each atom.
Space group Fm-3m (No. 225)
Unique sites:
Tm1 0.0000 0.0000 0.0000  8 Ru 2.85
Sc1 0.0000 0.0000 0.5000  8 Ru 2.85
Ru1 0.2500 0.2500 0.2500  4 Tm 2.85, 4 Sc 2.85

Results
- mass density (g cm⁻³) = 9.7
- energy (eV/atom) = -7.81

No. 3
Compound: Si3Ru2
Source: the Materials Project
Functional: PBE
Structure: relaxed

Unit cell a=11.1485 b=9.0092 c=5.5743 alpha=90.00 beta=90.00 gamma=90.00
With the nearest neighbours (Å) after each atom.
Space group Pbcn (No. 60)
Unique sites:
Si1 0.0734 0.2076 0.0555  5 Ru 2.38-2.62, 1 Si 2.66
Si2 0.1315 0.3946 0.6051  4 Ru 2.33-2.48
Si3 0.1795 0.0635 0.4131  4 Ru 2.37-2.53
Ru1 0.0000 0.0408 0.7500  6 Si 2.39-2.62
Ru2 0.0000 0.4248 0.2500  6 Si 2.33-2.48
Ru3 0.2459 0.1874 0.7638  7 Si 2.37-2.53

Results
- mass density (g cm⁻³) = 6.8
- energy (eV/atom) = -7.60

No. 4
Compound: Si3Ru
Source: the Materials Project
Functional: PBE
Structure: relaxed

Unit cell a=6.0294 b=6.0294 c=6.0294 alpha=90.00 beta=90.00 gamma=90.00
With the nearest neighbours (Å) after each atom.
Space group Fm-3m (No. 225)
Unique sites:
Si1 0.0000 0.0000 0.0000  8 Si 2.61
Si2 0.2500 0.2500 0.2500  4 Ru 2.61, 4 Si 2.61
Ru1 0.0000 0.0000 0.5000  8 Si 2.61

Results
- M_tot (μB per atom) = 0.000
- mass density (g cm⁻³) = 5.6
- energy (eV/atom) = -6.23

No. 5
Compound: Si3Ru5
Source: the Materials Project
Functional: PBE
Structure: relaxed

Unit cell a=5.3592 b=9.8659 c=4.0136 alpha=90.00 beta=90.00 gamma=90.00
With the nearest neighbours (Å) after each atom.
Space group Pbam (No. 55)
Unique sites:
Si1 0.0000 0.0000 0.0000  6 Ru 2.39-2.43
Si2 0.1115 0.3536 0.5000  6 Ru 2.42-2.54
Ru1 0.0000 0.5000 0.0000  6 Si 2.54-2.68, 2 Ru 2.83
Ru2 0.1572 0.7736 0.0000  3 Si 2.39-2.49
Ru3 0.1652 0.1064 0.5000  4 Si 2.42-2.46

Results
- mass density (g cm⁻³) = 9.2
- energy (eV/atom) = -8.28

No. 6
Compound: SiRu
Source: the Materials Project
Functional: PBE
Structure: relaxed

Unit cell a=4.7440 b=4.7440 c=4.7440 alpha=90.00 beta=90.00 gamma=90.00
With the nearest neighbours (Å) after each atom.
Space group P2_13 (No. 198)
Unique sites:
Si1 0.1628 0.3372 0.6628  4 Ru 2.40-2.43
Ru1 0.1292 0.1292 0.1292  4 Si 2.40-2.43

Results
- mass density (g cm⁻³) = 8.0
- energy (eV/atom) = -8.00
- maximum piezoelectric response (C/m²) = 1.30

No. 7
Compound: Si3Ru2
Source: the Materials Project
Functional: PBE
Structure: relaxed

Unit cell a=5.6073 b=5.6073 c=8.9367 alpha=90.00 beta=90.00 gamma=90.00
With the nearest neighbours (Å) after each atom.
Space group P-4c2 (No. 116)
Unique sites:
Si1 0.1444 0.2926 0.4096  3 Ru 2.32-2.45
Si2 0.3298 0.3298 0.7500  5 Ru 2.35-2.62
Ru1 0.0000 0.0000 0.2500  4 Si 2.32
Ru2 0.0000 0.5000 0.1277  6 Si 2.35-2.60
Ru3 0.5000 0.5000 0.0000  8 Si 2.45-2.61

Results
- mass density (g cm⁻³) = 6.8
- energy (eV/atom) = -7.58
- maximum piezoelectric response (C/m²) = 8.62

No. 8
Compound: SiRu
Source: the Materials Project
Functional: PBE
Structure: relaxed

Unit cell a=2.9385 b=2.9385 c=2.9385 alpha=90.00 beta=90.00 gamma=90.00
With the nearest neighbours (Å) after each atom.
Space group Pm-3m (No. 221)
Unique sites:
Si1 0.0000 0.0000 0.0000  8 Ru 2.54
Ru1 0.5000 0.5000 0.5000  8 Si 2.54

Results
- mass density (g cm⁻³) = 8.5
- energy (eV/atom) = -7.99

No. 9
Compound: Si3Ru2
Source: the Materials Project
Functional: PBE
Structure: relaxed
Here it is:
Unit cell a=6.2927 b=6.2927 c=6.2927 alpha=90.00 beta=90.00 gamma=90.00
Unit cell a=6.5734 b=6.5734 c=6.5734 alpha=90.00 beta=90.00 gamma=90.00
Unit cell a=11.1485 b=9.0092 c=5.5743 alpha=90.00 beta=90.00 gamma=90.00
Unit cell a=6.0294 b=6.0294 c=6.0294 alpha=90.00 beta=90.00 gamma=90.00
Unit cell a=5.3592 b=9.8659 c=4.0136 alpha=90.00 beta=90.00 gamma=90.00
Unit cell a=4.7440 b=4.7440 c=4.7440 alpha=90.00 beta=90.00 gamma=90.00
Unit cell a=5.6073 b=5.6073 c=8.9367 alpha=90.00 beta=90.00 gamma=90.00
Unit cell a=2.9385 b=2.9385 c=2.9385 alpha=90.00 beta=90.00 gamma=90.00